[To do]
Now search the block further down for the word "O10" and reproduce each line that has it.

[Source]
********
This record from Materials Project describes a geometry-optimized ZnCuP2O7 structure. The functional is GGA-PBE.

## Properties
V = 126.58 Å³/f.u.
polymorph energy (0 for the lowest one) = 2 meV per atom
calculated formation energy = -2204 meV per atom

a b c (Å): 6.2856 6.2934 7.0530
angles (deg): 77.88 68.85 80.46
Sites, in units of the cell vectors:
Zn1 0.7168 0.1101 0.8346
Zn2 0.2832 0.8899 0.1654
Cu1 0.9026 0.3292 0.2194
Cu2 0.0974 0.6708 0.7806
P1 0.7762 0.8344 0.2488
P2 0.2238 0.1656 0.7512
P3 0.3641 0.3826 0.3088
P4 0.6359 0.6174 0.6912
O1 0.3880 0.2356 0.5232
O2 0.6120 0.7644 0.4768
O3 0.9363 0.0001 0.2461
O4 0.0637 0.9999 0.7539
O5 0.7352 0.3883 0.6410
O6 0.2648 0.6117 0.3590
O7 0.3874 0.6299 0.8382
O8 0.6126 0.3701 0.1618
O9 0.3880 0.0571 0.8687
O10 0.6120 0.9429 0.1313
O11 0.0701 0.3603 0.8394
O12 0.9299 0.6397 0.1606
O13 0.7906 0.7377 0.7502
O14 0.2094 0.2623 0.2498

* * * * *

w | K2La2MgTi3O10 | PBE | relaxed

Structure (CIF):
```
data_K2La2MgTi3O10
_chemical_formula_sum 'K4 La4 Mg2 Ti6 O20'
_cell_length_a 3.962
_cell_length_b 3.962
_cell_length_c 32.863
_cell_angle_alpha 90.00
_cell_angle_beta 90.00
_cell_angle_gamma 90.00
_space_group_name_H-M_alt 'I 4/m m m'
_space_group_IT_number 139
_space_group_name_Hall '-I 4 2'
loop_
_atom_site_label
_atom_site_type_symbol
_atom_site_fract_x
_atom_site_fract_y
_atom_site_fract_z
_atom_site_occupancy
K1 K 0.000 0.000 0.212 1
La1 La 0.000 0.000 0.093 1
Mg1 Mg 0.000 0.000 0.000 1
Ti1 Ti 0.000 0.000 0.350 1
Ti2 Ti 0.000 0.000 0.500 1
O1 O 0.000 0.000 0.297 1
O2 O 0.000 0.000 0.436 1
O3 O 0.000 0.500 0.000 1
O4 O 0.000 0.500 0.136 1
```

## Properties
Mass density, Mg/m³: 4.403
Total magnetization, μB/f.u.: 0.03

***

x | K2La2MgTi3O10 | PBE | relaxed

Structure (CIF):
```
data_K2La2MgTi3O10
_chemical_formula_sum 'K4 La4 Mg2 Ti6 O20'
_cell_length_a 3.964
_cell_length_b 3.964
_cell_length_c 29.080
_cell_angle_alpha 90.00
_cell_angle_beta 90.00
_cell_angle_gamma 90.00
_space_group_name_H-M_alt 'I -4 m 2'
_space_group_IT_number 119
_space_group_name_Hall 'I -4 -2'
loop_
_atom_site_label
_atom_site_type_symbol
_atom_site_fract_x
_atom_site_fract_y
_atom_site_fract_z
_atom_site_occupancy
K1 K 0.000 0.000 0.189 1
La1 La 0.000 0.000 0.070 1
Mg1 Mg 0.000 0.500 0.750 1
Ti1 Ti 0.000 0.000 0.364 1
Ti2 Ti 0.000 0.000 0.500 1
O1 O 0.000 0.000 0.287 1
O2 O 0.000 0.000 0.432 1
O3 O 0.000 0.500 0.000 1
O4 O 0.000 0.500 0.129 1
O5 O 0.000 0.500 0.632 1
```

## Properties
Mass density, Mg/m³: 4.971
Total magnetization, μB/f.u.: 0.02

***

Verdict on stability: x comes out on top.

***

w | K2La2MgTi2O8 | PBE | relaxed

Structure (CIF):
```
data_K2La2MgTi2O8
_chemical_formula_sum 'K2 La2 Mg1 Ti2 O8'
_cell_length_a 3.844
_cell_length_b 3.844
_cell_length_c 15.855
_cell_angle_alpha 90.00
_cell_angle_beta 90.00
_cell_angle_gamma 90.00
_space_group_name_H-M_alt 'P -4 m 2'
_space_group_IT_number 115
_space_group_name_Hall 'P -4 -2'
loop_
_atom_site_label
_atom_site_type_symbol
_atom_site_fract_x
_atom_site_fract_y
_atom_site_fract_z
_atom_site_occupancy
K1 K 0.000 0.500 0.079 1
La1 La 0.000 0.500 0.347 1
Mg1 Mg 0.000 0.000 0.500 1
Ti1 Ti 0.000 0.500 0.785 1
O1 O 0.000 0.000 0.258 1
O2 O 0.000 0.500 0.567 1
O3 O 0.000 0.500 0.898 1
O4 O 0.500 0.500 0.258 1
```

## Properties
Mass density, Mg/m³: 4.281
Total magnetization, μB/f.u.: 0.82

***

x | K2La2MgTi2O8 | PBE | relaxed

Structure (CIF):
```
data_K2La2MgTi2O8
_chemical_formula_sum 'K2 La2 Mg1 Ti2 O8'
_cell_length_a 3.951
_cell_length_b 3.951
_cell_length_c 13.138
_cell_angle_alpha 90.00
_cell_angle_beta 90.00
_cell_angle_gamma 90.00
_space_group_name_H-M_alt 'P -4 m 2'
_space_group_IT_number 115
_space_group_name_Hall 'P -4 -2'
loop_
_atom_site_label
_atom_site_type_symbol
_atom_site_fract_x
_atom_site_fract_y
_atom_site_fract_z
_atom_site_occupancy
K1 K 0.000 0.500 0.135 1
La1 La 0.000 0.500 0.395 1
Mg1 Mg 0.500 0.500 0.000 1
Ti1 Ti 0.000 0.500 0.742 1
O1 O 0.000 0.000 0.272 1
O2 O 0.000 0.500 0.573 1
O3 O 0.000 0.500 0.918 1
********

[Worked solution]
O10 0.6120 0.9429 0.1313